Zero immigration and sustainable populations



_These calculated crystals were left in the page by mistake_
+++
a | Density functional theory data (PBE) for crystalline Ba3Na at its relaxed geometry.

Cell lengths 6.208, 6.208, 6.208 Å; angles 90.00, 90.00, 90.00 degrees
Space group Pm-3m (No. 221)
One atom of each set of equivalent atoms:
Ba (0.000, 0.000, 0.500)
Na (0.500, 0.500, 0.500)

Its crystal system is cubic.


b | Density functional theory data (PBE) for crystalline Ba3Na at its relaxed geometry.

Cell lengths 5.963, 5.963, 13.253 Å; angles 90.00, 90.00, 90.00 degrees
Space group I4/mmm (No. 139)
One atom of each set of equivalent atoms:
Ba (0.000, 0.000, 0.000)
Ba (0.000, 0.500, 0.250)
Na (0.000, 0.000, 0.500)

Its crystal system is tetragonal.


So which one is most stable? That would be a, about 20 meV per atom below the next structure.


a | Density functional theory data (PBE) for crystalline BaNaPrSbO6 at its relaxed geometry.

Cell lengths 8.680, 8.680, 8.680 Å; angles 90.00, 90.00, 90.00 degrees
Space group F-43m (No. 216)
One atom of each set of equivalent atoms:
Ba (0.000, 0.000, 0.000)
Na (0.000, 0.000, 0.500)
Pr (0.250, 0.250, 0.250)
Sb (0.250, 0.250, 0.750)
O (0.019, 0.250, 0.750)

Its crystal system is cubic.


b | Density functional theory data (PBE) for crystalline BaNaPrSbO6 at its relaxed geometry.

Cell lengths 8.612, 8.677, 8.677 Å; angles 90.00, 90.00, 90.00 degrees
Space group Pnnn (No. 48, origin choice 2)
One atom of each set of equivalent atoms:
Ba (0.250, 0.250, 0.250)
Ba (0.250, 0.750, 0.250)
Na (0.250, 0.250, 0.750)
Na (0.250, 0.750, 0.750)
Pr (0.000, 0.000, 0.000)
Sb (0.000, 0.000, 0.500)
O (0.017, 0.029, 0.729)
O (0.026, 0.729, 0.974)
O (0.230, 0.021, 0.469)

Its crystal system is orthorhombic.


So which one is most stable? That would be b, about 6 meV per atom below the next structure.

~~~~~

Entry from the Materials Project database: a geometry-optimized Li4Mn3Cr3Fe2O16 structure (GGA+U).

abc: 5.8398 5.8398 9.5428
angles: 90.34 90.34 59.84
Sites, in units of the cell vectors:
Li 0.0000 0.0000 0.0000
Li 0.0012 0.0012 0.5016
Li 0.3292 0.3292 0.3962
Li 0.6643 0.6643 0.8958
Mn 0.1681 0.1681 0.7194
Mn 0.3385 0.8281 0.2195
Mn 0.8281 0.3385 0.2195
Cr 0.1703 0.6578 0.7173
Cr 0.6578 0.1703 0.7173
Cr 0.8289 0.8289 0.2189
Fe 0.3337 0.3337 0.9964
Fe 0.6660 0.6660 0.4986
O 0.0020 0.0020 0.3140
O 0.0022 0.0022 0.8131
O 0.0355 0.4788 0.8368
O 0.1614 0.1614 0.1090
O 0.1650 0.6746 0.1062
O 0.3264 0.3264 0.6098
O 0.3266 0.8366 0.6072
O 0.4788 0.0355 0.8368
O 0.4803 0.4803 0.8362
O 0.5147 0.9591 0.3365
O 0.5166 0.5166 0.3371
O 0.6608 0.6608 0.1131
O 0.6746 0.1650 0.1062
O 0.8366 0.3266 0.6072
O 0.8384 0.8384 0.6076
O 0.9591 0.5147 0.3365

Computed properties:
Its distance to the lowest polymorph of the same formula is 10 meV per atom. The calculation puts the total magnetization at 0.96 μB per atom. As for the total energy: -191.5 eV/cell. Its formation energy is -2.06 eV/atom.

~~~~~

Record 1
First-principles (PBE) data for crystalline Ca2Zn3Si3PbO12 at its relaxed geometry, as listed in Materials Project.
+++

If the economic case only benefits the capital owners and makes the average citizen worse off economically, without even considering environmental and sustainability impacts, why is it being done?

The obvious answer seems to be that the capital owners are running the show for their own benefit, at the expense of the average Australian. And why shouldn’t they. Their goal is to maximise profits and high immigration helps them do that. High immigration increases the supply of workers. Increased supply of labour, lowers the cost of labour. Lower labour costs means an increase in profits.

High immigration also increases the supply of consumers. Increased demand means higher prices. Higher prices mean increased profits. It’s a double bonus. Higher profits from lower labour costs and higher demand. Whoopee.

But something that obvious would be quickly exposed by the ever diligent media. Or perhaps they have other incentives. On October 28, the Sydney Morning Herald ran an editorial entitled “Keep the doors open”. The sales pitch is that Australia needs high immigration to have solid economic growth and then the implication is that this economic growth will benefit every Australian. But it just isn’t so. The editorial writer’s trick is to say that “the 2006-07 migrant intake benefited the economy by $516 million in the first year” and then we are supposed to think that we got some of that $516 million. The SMH is smart enough to make sure they don’t mention that the average Australian gets none of that massive $25 per person.

With a significant part of newspaper profits coming from real estate advertising, it is not hard to understand why newspapers pump up the housing market, but how far can their logic be stretched. They admit that there is a housing shortage, rents are too high and finance is hard to get in the current climate, so the answer is … wait for it … bring in a lot more people to increase the demand for housing. That will make housing harder to obtain, rents will become higher and finance harder to get, but it will increase profits for the housing industry. At least we know who comes out ahead.

Inserted here: crystal structures >
/*
# 1
Compound: TiVCN
Source: Materials Project
Functional: GGA-PBE
Structure: optimized geometry

```
TiVCN
1.0
-1.438 -0.786 4.922
-3.524 -2.043 3.213
-0.966 -3.472 3.732
C Ti N V
1 1 1 1
direct
0.998 0.998 0.998 C
0.748 0.748 0.748 Ti
0.502 0.502 0.502 N
0.253 0.253 0.253 V
```

Output
- size of the total moment (μB per cell) = 0.0
- E_tot (eV per cell) = -38.56

---

# 2
Compound: Mg6NbCr
Source: Materials Project
Functional: GGA-PBE
Structure: optimized geometry

```
Mg6NbCr
1.0
4.830 0.000 0.000
0.000 6.066 0.000
0.000 0.000 11.085
Mg Cr Nb
12 2 2
direct
0.500 0.500 0.672 Mg
0.000 0.000 0.332 Mg
0.000 0.257 0.077 Mg
0.000 0.757 0.577 Mg
0.000 0.243 0.577 Mg
0.000 0.500 0.832 Mg
0.500 0.260 0.420 Mg
0.500 0.240 0.920 Mg
0.500 0.760 0.920 Mg
0.000 0.743 0.077 Mg
0.500 0.740 0.420 Mg
0.500 0.000 0.172 Mg
0.500 0.500 0.193 Cr
0.500 0.000 0.693 Cr
0.000 0.500 0.309 Nb
0.000 0.000 0.809 Nb
```

Output
- size of the total moment (μB per cell) = 5.0
- polymorph energy (0 for the lowest one) (meV/atom) = 0
- E_tot (eV per cell) = -54.93

* * * * *

[1]
Computed, not measured: a relaxed structure of Y5Mg24 at the PBE level of DFT.

a b c (Å): 11.2775 11.2775 11.2775
angles (deg): 90.00 90.00 90.00
Space group I-43m (No. 217)
Inequivalent atoms, fractional coordinates:
Y (0.0000, 0.0000, 0.0000)
Y (0.1881, 0.1881, 0.8119)
Mg (0.0319, 0.3562, 0.3562)
Mg (0.0900, 0.0900, 0.2808)

Results
- ΔE_f: -0.0541 eV per atom

[2]
Computed, not measured: a relaxed structure of Y2Mg at the PBE level of DFT.

a b c (Å): 12.6615 3.5823 8.0684
angles (deg): 90.00 105.02 90.00
Space group C2/m (No. 12)
Inequivalent atoms, fractional coordinates:
Y (0.1396, 0.0000, 0.0395)
Y (0.1764, 0.0000, 0.6242)
Mg (0.0282, 0.5000, 0.2963)

Results
- Total moment: 0.409 μB per formula unit
- ΔE_f: -0.0338 eV per atom

[3]
Computed, not measured: a relaxed structure of Y11Mg76 at the PBE level of DFT.

a b c (Å): 11.2275 47.7243 9.6849
angles (deg): 90.00 125.39 90.00
Space group Cm (No. 8)
Inequivalent atoms, fractional coordinates:
Y (0.0000, 0.0000, 0.0000)
Y (0.0011, 0.3333, 0.9999)
Y (0.1280, 0.1666, 0.6262)
Y (0.1870, 0.0621, 0.9993)
Y (0.1878, 0.2711, 0.9988)
Y (0.1880, 0.3956, 0.9984)
Mg (0.0013, 0.0000, 0.3684)
Mg (0.0011, 0.3333, 0.3678)
Mg (0.0051, 0.0618, 0.1882)
Mg (0.0061, 0.2715, 0.1895)
Mg (0.0064, 0.3953, 0.1894)
Mg (0.0547, 0.1126, 0.3900)
Mg (0.0548, 0.2207, 0.3896)
Mg (0.0548, 0.4467, 0.3910)
Mg (0.1320, 0.5000, 0.6294)
Mg (0.1610, 0.2801, 0.6066)
Mg (0.1608, 0.3867, 0.6062)
Mg (0.1624, 0.0532, 0.6071)
Mg (0.1819, 0.1666, 0.2857)
Mg (0.1819, 0.5000, 0.2837)
Mg (0.1902, 0.0000, 0.8171)
Mg (0.1909, 0.3333, 0.8175)
Mg (0.2211, 0.1366, 0.0000)
Mg (0.2208, 0.1967, 0.9991)
Mg (0.2210, 0.4697, 0.9988)
Mg (0.2768, 0.0317, 0.3689)
Mg (0.2771, 0.3018, 0.3695)
Mg (0.2775, 0.3649, 0.3699)
Mg (0.3043, 0.4345, 0.3222)
Mg (0.3051, 0.1012, 0.3221)
Mg (0.3051, 0.2320, 0.3220)
Mg (0.3157, 0.1047, 0.8088)
Mg (0.3157, 0.2286, 0.8082)
Mg (0.3164, 0.4380, 0.8093)
*/

Another angle we hear is that we need immigration because we have a skills shortage. What that really means is: we have a skills shortage at the salaries we are willing to pay. We never have a skills shortage for investment bankers. We always have plenty of them, because they get paid a motza. We have a shortage of qualified tradesmen because it is a really tough job that doesn’t pay very well. If the pay was increased, there wouldn’t be a shortage of qualified tradesmen, but that would reduce the profits of the construction companies and factory owners. The easier solution, for business, is to call for increased skilled immigration to keep wages down and profits up.

The skills shortage is a major change from the usual “can do” attitude of business. For example:

  • ask business what we should do about climate change and they respond, “Business can sort that out – use market forces with a carbon trading scheme and use geosequestration in coal fired power plants”;
  • ask business what we should do about water shortages and they respond, “Business can sort that out – build new desalination plants, dams and pipelines”;
  • ask business what we should do about Fossil Fuel depletion and they respond, “Business can sort that out – replacements for petroleum will be found as soon as the price gets high enough”;
  • ask business what we should do about depletion of farmland and they respond, “Business can sort that out – market forces from higher food prices will give farmers incentives to repair their land”; then
  • ask business what we should do about the skills shortage and they respond “Oh, nothing we can do. Government needs to bring in lots more skilled migrants or the Australian economy will fall apart.”

Another issue sometimes associated with immigration is the ageing population. Most commentators know that increased immigration doesn’t significantly slow the ageing of the population, because the average age of migrants is only a little less than the average age of the overall population and migrants age, just like existing residents. Not everybody is clear about that, though.

(Misplaced materials data)
VASP calculation (GGA-PBE) on a geometry-optimized SrCaIn2 structure.

```
SrCaIn2
1.0
4.121 -2.476 2.915
2.587 2.793 4.137
-0.847 -1.489 5.355
In Ca Sr
2 1 1
direct
0.750 0.750 0.750
0.250 0.250 0.250
0.000 0.000 0.000
0.500 0.500 0.500
```

Output
crystal system	cubic
calculated formation energy	-9.90	kcal/mol of atoms
ρ	4.7	g cm⁻³

----------

Record 1
Er4Pt | PBE-GGA | optimized geometry

a = 7.715 Å, b = 7.715 Å, c = 7.715 Å
α = 60.00°, β = 60.00°, γ = 60.00°
Fractional positions:
Er1 0.206 0.765 0.765
Er2 0.235 0.235 0.235
Er3 0.235 0.235 0.794
Er4 0.235 0.794 0.235
Er5 0.765 0.206 0.765
Er6 0.765 0.765 0.206
Er7 0.765 0.765 0.765
Er8 0.794 0.235 0.235
Pt1 0.375 0.375 0.375
Pt2 0.625 0.625 0.625

SG   No. 227



Record 2
Er5Pt4 | PBE-GGA | optimized geometry

a = 7.430 Å, b = 14.629 Å, c = 7.528 Å
α = 90.00°, β = 90.00°, γ = 90.00°
Fractional positions:
Er1 0.001 0.092 0.180
Er2 0.001 0.408 0.180
Er3 0.157 0.123 0.668
Er4 0.157 0.377 0.668
Er5 0.181 0.750 0.512
Er6 0.319 0.250 0.012
Er7 0.343 0.623 0.168
Er8 0.343 0.877 0.168
Er9 0.499 0.592 0.680
Er10 0.499 0.908 0.680
Er11 0.501 0.092 0.320
Er12 0.501 0.408 0.320
Er13 0.657 0.123 0.832
Er14 0.657 0.377 0.832
Er15 0.681 0.750 0.988
Er16 0.819 0.250 0.488
Er17 0.843 0.623 0.332
Er18 0.843 0.877 0.332
Er19 0.999 0.592 0.820
Er20 0.999 0.908 0.820
Pt1 0.046 0.750 0.112
Pt2 0.183 0.542 0.467
Pt3 0.183 0.958 0.467
Pt4 0.184 0.250 0.357
Pt5 0.316 0.750 0.857
Pt6 0.317 0.042 0.967
Pt7 0.317 0.458 0.967
Pt8 0.454 0.250 0.612
Pt9 0.546 0.750 0.388
Pt10 0.683 0.542 0.033
Pt11 0.683 0.958 0.033
Pt12 0.684 0.250 0.143
Pt13 0.816 0.750 0.643
Pt14 0.817 0.042 0.533
Pt15 0.817 0.458 0.533
Pt16 0.954 0.250 0.888

SG   No. 62



Record 3
ErPt5 | PBE-GGA | optimized geometry

a = 5.338 Å, b = 5.338 Å, c = 4.477 Å
α = 90.00°, β = 90.00°, γ = 120.00°
Fractional positions:
Er1 0.000 0.000 0.000
Pt1 0.000 0.500 0.500
Pt2 0.333 0.667 0.000
Pt3 0.500 0.000 0.500
Pt4 0.500 0.500 0.500
Pt5 0.667 0.333 0.000

SG   No. 191



Record 4
Er5Pt3 | PBE-GGA | optimized geometry

a = 8.348 Å, b = 8.348 Å, c = 6.114 Å
α = 90.00°, β = 90.00°, γ = 60.07°
Fractional positions:
Er1 0.000 0.246 0.750
Er2 0.000 0.754 0.250
Er3 0.246 0.000 0.250
Er4 0.246 0.754 0.750
Er5 0.333 0.333 0.000
Er6 0.333 0.333 0.500
Er7 0.667 0.667 0.000
Er8 0.667 0.667 0.500
Er9 0.754 0.000 0.750
Er10 0.754 0.246 0.250
Pt1 0.000 0.393 0.250
Pt2 0.000 0.607 0.750
Pt3 0.393 0.000 0.750
Pt4 0.393 0.607 0.250
Pt5 0.607 0.000 0.250
Pt6 0.607 0.393 0.750

SG   No. 63



Record 5
ErPt2 | PBE-GGA | optimized geometry

a = 5.421 Å, b = 5.421 Å, c = 5.421 Å
α = 60.00°, β = 60.00°, γ = 60.00°
Fractional positions:
Er1 0.125 0.125 0.125
Er2 0.875 0.875 0.875
Pt1 0.000 0.500 0.500
Pt2 0.500 0.000 0.500
Pt3 0.500 0.500 0.000
Pt4 0.500 0.500 0.500

SG   No. 227



Record 6
Er5SbPt2 | PBE-GGA | optimized geometry

a = 8.715 Å, b = 8.715 Å, c = 8.715 Å
α = 127.71°, β = 127.71°, γ = 77.09°
Fractional positions:
Er1 0.000 0.000 0.000
Er2 0.022 0.522 0.820

A few years ago, Louise Markus, Federal Liberal Member in the seat of Greenway, rang me in response to a letter I wrote her regarding the negative environmental impacts of increased population. She said something like “But Eric, we need increased immigration to battle the effects of our ageing population.” I said immigration doesn’t do anything for the ageing population and the phone went quiet for a few seconds. She then said “Well I don’t think most of the people in Greenway agree with you on population.” Game, set and match.

What really mattered to her, and to all politicians, is what the majority of voters think. Politicians don’t need to clutter their minds with logical arguments, as long as they are on the same page as the electorate.

It would be easy to blame business for lowering our standard of living and politicians for being their accomplices, but that is wrong. It is NOT up to business to make Australia sustainable (although it would happen more quickly if they led the way). It is up to the citizens of Australia to vote in the politicians who will best serve their interests. Both major parties now serve the interests of big business.

We have given business the goal of making profits for themselves and they have done that very well, and provided us with the goods and services that make Australia one of the best places on earth to live. When business is given limitations and guidelines, they adapt to those guidelines and continue to produce the high quality goods and services that make Sydney such a great place to live.

If Australia adopted net zero immigration and made efforts to become more sustainable, business would adapt and smart businessmen would continue to make millions and billions, because the changes would not be that great. It is also likely that the average Australian would be better off and the average Australian’s children and grandchildren will be better off in the future.